26 December 2006

Merry Fruitcake day

Hope everyone had a Merry Christmas. My family had a fruitcake-filled one. With seven fruitcakes in the freezer, someone had to eat them all.

First, the Swiss Colony and Wisconsin Cheeseman fruitcakes were discarded without further ado. One has only so many calories at their disposal during the holiday season, and one musn't waste them on bad fruitcake.

I assembled the equivalent of a cheese platter with fruitcake: picture above. So if you want to see what a slice of each fruitcake looks like, here they are. From left to right, Claxton Light, Claxton Dark, Collin Street, Harry and David, and Holy Cross Abbey. Gethsemani Farms was not included because everyone in the family has their own half-cake sitting at home, courtesy of my mom, who orders them for us each year.

The family's opinions of the cakes varied widely. Surprisingly, the Holy Cross didn't get the rave reviews I was expecting (it being so similar to Gethsemani). I think rather the family tried the other ones to get a flavor for the non-Trappist type cakes.

Reviews were mixed, but most of these fruitcakes were appreciated for what they were. Some liked the citrusy flavor of the Claxton light fruitcake; others really enjoyed the distinct, almost gingerbread-like flavor of the Harry and David. The Collins Street cake was complimented on its strong pecan flavor.

The cake that ranked lowest on the family list? Claxton Dark, of all things. They liked the molasses flavor but felt it was just too "raisiny," without other fruit flavors.

Finally, for those of you who just received a fruitcake and really don't want it, there is a fruitcake Safe Haven. Please take advantage of it.

22 December 2006

Come waste your time with me!

Just what you need at the holiday season is a place to waste time. And I'm here to help! Advertising Age has listed this blog as number three on its 10 Great Time-Wasting Websites. Though personally, I recommend number one, Will it Blend?

And with great humility I admit that I hadn't figured out how to moderate comments until this morning. Thanks, everyone who has posted, for great comments containing a lot of wisdom, and also a lot of (sigh) fruitcake websites. At least I know what I'll be doing in 2007 (and 2008) . . . eating more fruitcake.

16 December 2006

Ain’t Nothin’ like the Real Thing

Molecular data, as found in the file
# C42H44F6InN2OS

C42H44F6InN2OS as an isolated structure (the ωB97M-V functional and the def2-TZVPD basis, OMol25).

## Properties
net charge = -1
spin multiplicity = 1
E_HOMO = -0.16769 Ha
frontier orbital gap = 6.509 eV
LUMO = 0.0715 hartree

Structure (XYZ):
```
97
Properties=species:S:1:pos:R:3:lowdin_charge:R:1
C 1.62110 -1.92336 3.41775 0.028
C 1.32683 -1.04638 2.63866 -0.296
C 0.97581 0.00026 1.70708 -0.268
In 1.58584 -0.67587 -0.34721 0.864
F 1.83304 -2.70394 -0.21156 -0.415
C 3.51397 0.16966 -1.03846 -0.283
C 3.46558 0.39206 -2.56054 -0.368
C 2.87690 1.76178 -2.92254 -0.145
C 0.00719 -0.37529 -1.86661 -0.239
C -1.42197 -0.53082 -1.30000 -0.307
C -2.21375 -1.62381 -2.01010 -0.290
C -1.63757 -3.01618 -1.73773 -0.431
S -0.82328 -3.72823 -3.20985 0.973
C 0.82451 -3.85890 -2.72191 -0.743
N 1.82697 -3.36288 -3.36753 0.047
N 2.95513 -3.72513 -2.65506 0.048
C 2.53268 -4.37227 -1.63292 -0.240
O 1.20078 -4.53891 -1.61234 0.020
H 1.91315 -2.86509 3.81573 0.010
H 1.52599 0.89933 1.98885 0.035
H -0.09268 0.20110 1.79571 0.031
H 3.72683 1.11492 -0.53553 0.021
H 4.28172 -0.56713 -0.79996 0.020
H 4.45316 0.25272 -3.00942 0.087
H 2.83598 -0.37472 -3.01820 0.070
H 2.24200 1.71145 -3.80455 0.058
H 3.66598 2.49436 -3.09583 0.062
H 2.24439 2.09464 -2.10126 0.051
H 0.16591 0.58494 -2.35351 0.015
H 0.16551 -1.13802 -2.63105 0.013
H -1.97707 0.40100 -1.44109 0.094
H -1.39767 -0.76879 -0.23407 0.079
H -2.24935 -1.41797 -3.08104 0.098
H -3.24250 -1.58894 -1.65742 0.074
H -0.90974 -2.98029 -0.92828 0.082
H -2.41747 -3.72075 -1.46323 0.056
H 3.13948 -4.74383 -0.82860 0.106
F 3.84102 -6.27621 0.55052 0.053
C 4.77379 -6.12149 1.51214 -0.276
C 5.72355 -5.13218 1.35897 -0.004
C 6.67685 -4.97321 2.35337 -0.084
C 6.67191 -5.79870 3.46992 -0.107
C 5.70540 -6.78680 3.59596 -0.092
C 4.74103 -6.95309 2.61248 -0.018
H 5.70789 -4.50118 0.48037 0.124
H 7.42444 -4.19779 2.25498 0.104
H 7.41882 -5.66964 4.24179 0.096
H 5.69894 -7.43193 4.46442 0.100
H 3.97252 -7.70975 2.69193 0.116
F 0.27448 3.21315 -3.26834 0.064
C -0.06340 4.50795 -3.34216 -0.278
C 0.89988 5.42719 -3.71047 -0.011
C 0.54459 6.76608 -3.78664 -0.092
C -0.75180 7.16591 -3.48998 -0.103
C -1.70148 6.22228 -3.11794 -0.084
C -1.36007 4.88021 -3.04585 -0.004
H 1.90411 5.08947 -3.92818 0.118
H 1.28563 7.49904 -4.07770 0.100
H -1.02087 8.21290 -3.54715 0.094
H -2.70892 6.52412 -2.88167 0.070
H -2.08292 4.12655 -2.76340 0.118
F 5.61063 -0.65586 9.58012 0.036
C 5.15795 -0.85053 8.31714 -0.295
C 5.92256 -1.59649 7.44467 -0.029
C 5.45059 -1.79438 6.15352 -0.080
C 4.23953 -1.24522 5.75532 -0.085
C 3.49311 -0.49696 6.65392 -0.073
C 3.94895 -0.29644 7.94998 -0.025
H 6.86603 -2.01036 7.77502 0.111
H 6.03232 -2.38150 5.45541 0.100
H 3.87173 -1.39681 4.74931 0.079
H 2.55047 -0.06947 6.33961 0.107
H 3.38030 0.27825 8.66890 0.112
F -4.43652 5.70563 -1.97143 0.046
C -5.08775 6.48876 -1.08614 -0.277
C -5.89770 5.89102 -0.14263 -0.012
C -6.56140 6.69961 0.76796 -0.084
C -6.41306 8.07902 0.71987 -0.100
The entry goes on

My boss is from England and makes Christmas cake (fruitcake for us here Americans). I’ve heard of the wonders of home-made fruitcake, and this one leaves no doubt in my mind that care, good ingredients and a good recipe lead to a delicious cake.

The Boss macerates his fruit (cherries, lemon and orange peel, currants, yellow and black raisins) in red wine first. After making the cake, he soaks it in Kentucky bourbon. The taste is actually much like the Gethsemani Farms fruitcake; they also include wine in the recipe and soak in bourbon. His cake has a much more grapey fruit flavor because of the raisins. There are NO NUTS in his recipe, which obviously affects the flavor but doesn’t detract in any way. (By the way, his theory on turnips is that they add moisture to the finished cake, which sounds plausible to me—though we agree, we still don’t want ‘em in our cake).

So what’s the white stuff on the top? It’s a very hard icing, like a fondant, concealing beneath it a thin layer of marzipan, to gild the lily. The boss “refreshes” the cake with bourbon before serving.

This is a delicious cake (and I’m not just saying that ‘cause he’s my Boss). It’s moist and boozy, and the texture is lovely—with the fruit being relatively small, it cuts nicely. The icing adds a touch of traditional sweetness, while the marzipan a lovely almond flavor. This cake absolutely eats like a meal—one slice and you’re done. But it’s a delicious slice of decadent winter richness the whole way down.

This is the one cake on this site so far that you CAN’T purchase. But you can probably find some good recipes for Christmas cake and make your own. A slice of this cake certainly inspires me to try to make one myself next year.

. . . but then, who would review all those other fruitcakes out there?

Misplaced records of molecules:
=====
Formula: C19H25BrNO5PTa
Source: the Open Molecules 2025 dataset
Level of theory: wB97M-V/def2-TZVPD

## Properties
E_LUMO = -11.4 eV
Total charge = +3
Electronic energy = -4141.378753 hartree
ΔE to the lowest compared entry with this formula, charge and spin = 215.53 kJ/mol
Kohn-Sham gap = 7.071 eV

Structure (XYZ):
```
53
Properties=species:S:1:pos:R:3:mulliken_charge:R:1
H -3.535 1.463 -0.807 0.52
H 1.718 -3.068 0.617 0.38
C -2.830 -0.484 -1.466 0.28
H 1.847 0.594 -3.326 0.31
O 3.094 -0.019 0.036 -0.22
C 2.248 1.423 -2.744 -1.03
O 0.856 0.698 -0.824 -0.26
H 6.349 0.797 0.466 0.43
H -1.319 2.591 4.949 0.53
H 2.412 2.263 -3.419 0.45
C -3.216 0.870 -1.657 0.04
H -0.581 -3.364 -0.325 0.29
H 5.629 0.047 -0.961 0.33
H -3.061 1.012 -5.028 0.49
H -0.154 -2.254 -1.685 0.22
O 0.816 -1.195 0.614 -0.27
C -3.284 1.401 -2.928 -0.94
C -1.335 1.561 4.618 -0.72
H -2.381 -1.343 -4.724 0.47
H -1.440 0.692 6.581 0.49
H -2.285 -2.327 -2.481 0.57
H -3.615 2.421 -3.071 0.48
H -3.846 -0.739 0.417 0.57
C -2.507 -1.272 -2.595 -0.23
H 4.639 -0.935 1.080 0.29
C -1.251 2.229 2.126 -0.19
P 1.698 0.377 0.575 0.32
C 0.225 -2.978 -0.956 -1.17
C -1.401 0.494 5.517 -0.29
H -3.012 -2.183 -0.145 0.56
H -1.505 -1.658 5.749 0.48
C 1.338 -2.378 -0.132 0.03
N -1.294 -0.017 2.844 -0.52
Ta -1.042 -0.210 0.541 1.61
C 1.274 1.856 -1.673 -0.33
H 3.207 1.135 -2.323 0.19
O -1.527 1.519 0.976 -0.40
O -0.951 3.364 2.173 -0.37
C 4.380 0.081 0.792 -0.19
H 2.156 -2.037 -0.759 0.19
H 1.693 2.627 -1.022 0.35
H 0.350 2.229 -2.106 0.37
H 0.622 -3.824 -1.518 0.51
C -1.359 -1.028 3.702 0.52
C -2.974 0.605 -4.028 -0.35
C -1.302 1.259 3.277 0.86
C 5.427 0.689 -0.104 -1.19
C -2.587 -0.729 -3.858 -0.88
Br -1.349 -2.693 2.813 0.02
C -2.950 -1.092 -0.101 -0.68
H 4.212 0.677 1.690 0.40
C -1.428 -0.823 5.066 -0.59
H 5.129 1.678 -0.452 0.31
```

~~~~~

# 1
DFT (ωB97M-V/def2-TZVPD) results for a 21-piece molecular cluster, C64H178N8O37 overall.

Last column: Mulliken charge in e.
Atoms and positions in Å:
C 10.02 -23.58 11.22  -2.001
C 9.01 -23.27 12.34  3.001
C 7.64 -23.95 12.17  -2.076
O 6.80 -23.78 13.30  0.895
C 5.78 -24.80 13.17  -1.543
N 9.64 -23.66 13.61  2.634
H 9.71 -23.10 10.28  0.466
H 10.03 -24.65 11.01  0.377
H 11.04 -23.29 11.47  0.377
H 8.84 -22.20 12.43  -1.300
H 7.86 -25.01 12.04  0.673
H 7.20 -23.46 11.30  0.423
H 5.28 -24.79 12.20  0.501
H 5.05 -24.53 13.94  -0.126
H 6.09 -25.84 13.26  0.388
H 10.39 -23.00 13.72  0.240
H 9.09 -23.53 14.45  -2.245
C 12.59 -20.97 17.33  -1.463
C 12.66 -22.02 18.40  1.165
C 12.18 -23.39 17.91  0.969
O 13.07 -24.03 17.02  -0.557
C 12.50 -25.03 16.29  0.059
N 14.01 -22.10 18.93  -0.681
H 11.55 -20.80 17.04  -0.077
H 13.18 -21.22 16.45  0.225
H 12.92 -20.06 17.83  0.444
H 11.93 -21.78 19.17  -0.285
H 11.21 -23.24 17.43  -0.859
H 11.91 -24.10 18.68  0.184
H 13.20 -25.30 15.50  0.406
H 11.53 -24.77 15.86  -0.277
H 12.26 -25.97 16.78  -0.078
H 14.50 -22.46 18.13  0.442
H 14.02 -22.98 19.42  0.248
C 12.22 -19.25 21.70  -0.231
C 13.27 -19.90 22.60  0.320
=====

Swiss Colony has great customer service

I learned this inadvertently by sending a nastygram to what I thought was an autosubscribe e-mail address. A few months ago, I had subscribed to Swiss Colony's I love fruitcake e-mail subscription service, which up until recently had sent me nothing (no responses to my e-mail to the Friendly Fruitcake Expert, either. He may know fruitcake, but he's none too friendly). So as I unsubscribed, I wrote an e-mail back that I normally wouldn't write: "Your fruitcake is crap." If I had known I was writing to customer service, I would have caged this terse yet accurate assessment in more polite language.

In any case, a short time later I received an e-mail from Swiss Colony's customer service department telling me that they were crediting my account by the cost of the fruitcake (less shipping, I think).

So thanks, Swiss Colony--I still think your fruitcake is crap, but I must admit I've had a fascination from childhood with your gift baskets.

13 December 2006

Welcome to Mondo Fruitcake!

Welcome to the small, decidedly carb-heavy land of fruitcake lovers! This blog was created to review all the fruitcakes out there that seem to be giving fruitcake a bad name--as well as to find the fruitcakes that are actually good--swell, even.

I've ranked all the fruitcakes I've reviewed so far and put links to those reviews in the sidebar. You can get to a company's website by clicking on the review title once you've selected one.

So check your fruitcake ridicule at the door and enjoy the reviews. I eat them all so you don't have to.

12 December 2006

Review: Harry and David 2-pound Traditional Fruitcake

I would call this one "fruitcake for beginners."

The reason is that the cake itself doesn't exactly taste like fruitcake. The fruit includes cherries, raisins, pineapple, orange and lemon peel (and turmeric, son of a gun). I see the ingredient quality goes downhill from there: partially hydrogenated shortening, propylene glycol, mono and diesters of fats and fatty acids? Yikes. There are so many brackets in these ingredients, I'm not sure if that's just a subset of some other ingredient. But what makes this one quite different tasting are the spices: they use cinnamon, cloves, ginger, and molasses. The fruit is cut quite small so there's an even texture, not huge lumps of fruit, and the overall flavor of the cake itself is almost more like a gingerbread than a traditional fruitcake.

This cake--which I actually went to a store to purchase($29.95) includes molasses so has that richer, darker flavor, though it is alcohol-free. It comes in a really adorable tin (they also have a smaller 1-pound fruitcake for $19.95 without the tin), very nice for giving. The garnish fruit on top actually taste different than any others I've had--these really taste candy-like, almost like colored licorice or a jujube.

I've been sorely disappointed with the mass-produced fruitcakes out there--those fruitcakes shipped out by those traditional places one goes to to order fruit, meat, and food baskets for the holidays. So if you wish to send a fruitcake to someone you love (and bully for you!!), I'd say the rule of thumb is: monasteries first; dedicated fruitcake bakeries second; and finally, if you're going to use any of the big food basket places, try this fruitcake.

More Turnip

Calculated molecules that have nothing to do with the article =
<<<
Molecular formula: C4H15NO3
Method: DFT, ωB97M-V/def2-TZVPD

Last column: Löwdin charge in e.
Element x y z (Å)
C 1.767875 -0.992570 -0.753780  -0.12
N 1.836161 0.116326 0.204224  -0.14
C 1.053825 1.290380 -0.117886  -0.27
C -0.439711 1.184294 0.073602  -0.18
C -1.126641 2.569423 -0.017137  -0.27
O -2.409266 2.449006 0.556642  -0.08
H 2.728669 -1.466923 -0.693155  0.07
H 0.870242 -1.552654 -0.537037  0.05
H 1.709244 -0.574687 -1.762905  0.07
H 2.774101 0.358073 0.477271  0.09
H 1.531823 2.168409 0.357457  0.12
H 1.335777 1.513241 -1.183093  0.12
H -1.021611 0.446253 -0.468630  0.09
H -0.715652 0.817417 1.072534  0.12
H -1.199588 2.975809 -1.063498  0.13
H -0.589816 3.227633 0.655386  0.11
H -2.897440 1.671173 0.295581  0.08
O -0.992477 -3.487752 3.499887  -0.06
H -1.787788 -2.942138 3.432404  0.04
H -1.017556 -4.110043 2.775847  0.02
O -0.757356 -1.652441 -2.036042  -0.07
H -0.364334 -2.521004 -1.905031  0.04
H -0.288481 -1.487225 -2.862637  0.05

Cartesian forces, eV/Å:
0.34 1.99 0.62
-0.31 -0.39 0.87
1.51 0.02 -1.76
-0.74 0.81 1.02
-0.18 -1.44 -0.51
-0.70 1.02 0.54
0.08 -1.03 0.13
0.38 -0.55 -0.08
-0.21 -0.11 -0.34
0.02 -0.03 -0.20
-0.74 -0.42 0.51
-0.88 0.09 0.13
0.57 -0.09 -1.19
0.74 0.41 0.35
0.30 -0.26 0.89
0.12 0.47 -0.23
0.22 -0.32 -0.44
-0.09 0.37 0.38
0.23 -0.25 -0.11
-0.15 -0.12 -0.27
0.17 -0.61 -0.83
-0.38 -0.39 0.73
-0.31 0.84 -0.23

## Properties
HOMO-LUMO gap: 8.89 eV
Electronic energy: -441.81309 a.u.
ΔE to the lowest compared entry with this formula, charge and spin: 1.872 eV
Total charge: 0
SMILES: CNCCCO.O.O

Molecular formula: C38H26N10S2Sn
Method: DFT, ωB97M-V/def2-TZVPD

Last column: Löwdin charge in e.
Element x y z (Å)
Sn 1.524334 1.309672 -0.620389  1.20
C -1.552731 5.650739 3.715652  -0.10
C -0.837812 5.029234 4.704868  -0.09
C 0.000973 3.931288 4.400233  0.01
C 0.064344 3.515077 3.058551  -0.11
C 0.641518 2.372364 2.395127  -0.27
N 1.065154 1.321722 3.056038  0.21
C 1.299963 0.151552 2.496712  -0.30
C 1.683136 -1.008404 3.279144  -0.13
C 1.985528 -1.142434 4.621408  -0.02
C 2.176981 -2.434368 5.096113  -0.09
C 2.223048 -3.537225 4.229425  -0.09
C 2.027066 -3.391860 2.860038  -0.01
C 1.808380 -2.086277 2.413602  -0.11
C 1.573797 -1.533560 1.065532  -0.27
N 1.683041 -2.258831 -0.045154  0.19
C 1.238829 -1.893032 -1.226216  -0.30
N 0.716185 -0.652736 -1.529773  0.01
C 0.054137 -0.747476 -2.739419  -0.25
N -0.703830 0.160782 -3.393924  0.20
C -0.934530 1.364593 -2.878944  -0.28
N -0.408783 1.884914 -1.714486  0.01
C -1.142296 3.005763 -1.373353  -0.28
N -1.190394 3.719769 -0.280496  0.19
C -0.501313 3.457664 0.801641  -0.28
N 0.383382 2.456519 1.023815  -0.01
C -0.629027 4.227093 2.072563  -0.11
C -1.464496 5.280109 2.371295  -0.02
C -2.036912 3.332489 -2.482825  -0.10
C -3.020995 4.329861 -2.553726  -0.01
C -3.840032 4.336210 -3.684481  -0.07
C -3.721551 3.318443 -4.670303  -0.08
C -2.756091 2.348865 -4.558127  -0.04
C -1.927665 2.283344 -3.435943  -0.08
C 0.259885 -2.110334 -3.260108  -0.12
>>>
Back to the article =

This is so NOT the world's finest fruitcake. Who would, honestly, order fruitcake from the Wisconsin Cheeseman? I advise against it.

I received the 20 oz. loaf after paying $29.95, about 8 dollars shipping and handling.

Well, to make a long story short, this is the same turnip-laden cake I got from Swiss Colony. I compared ingredients and although the order might be slightly different between the two, the general contents, down to turnips and turmeric, are identical. Upon further perusal, I see that both companies "distribute" these cakes, don't necessarily make them. As to who actually DOES make the cakes, the Wisconsin Cheeseman customer service department could not respond.

So if you want to know how it tasted, see this review here. And don't buy this cake. There are much better ones out there.